[Wanted]
Search the data further below for the word "dataset" and repeat each line that has it, please.

[Data]
+++
No. 1
# C44H41AuFN4O8Te

A structure of composition C44H41AuFN4O8Te (the ωB97M-V functional and the def2-TZVPD basis, the OMol25 dataset).

Kohn-Sham gap (alpha / beta)	7.59 / 7.06	eV
⟨S²⟩	3.775
HOMO energy (alpha / beta)	-7.9 / -8.8	eV
relative energy (zero: lowest compared OMol25 entry of this formula, charge and spin)	0.94	kcal per mole
multiplicity	4
LUMO (alpha / beta)	-0.322 / -1.727	eV

Last column: Mulliken charge in e.
Element x y z (Å)
Au 0.359 1.039 0.593  1.78
O -5.858 1.207 -0.148  -0.58
C -5.613 -0.072 0.064  0.42
O -6.465 -0.923 -0.027  -0.64
C -4.223 -0.448 0.458  0.72
C -3.912 -1.684 0.971  -0.97
N -2.586 -1.690 1.190  -0.32
N -2.001 -0.538 0.841  0.15
C -2.979 0.236 0.402  0.08
C -2.667 1.622 -0.111  0.42
O -3.603 2.419 -0.201  -0.90
O -1.473 1.848 -0.509  -0.66
H -5.019 1.755 -0.103  0.45
H -4.549 -2.528 1.173  0.53
H -2.027 -2.425 1.589  0.19
C 4.747 0.114 6.558  -1.71
C 3.688 1.165 6.872  0.43
C 3.019 0.850 8.201  -0.99
C 1.865 1.798 8.473  -1.01
C 0.859 1.683 7.366  0.82
C -0.489 1.819 7.592  -0.80
C -1.387 1.751 6.529  0.06
F -2.697 1.879 6.799  -0.35
C -0.971 1.578 5.244  -1.18
C 0.401 1.423 4.991  0.35
C 0.846 1.263 3.606  1.83
O -0.030 1.326 2.708  -1.28
C 2.244 1.099 3.419  0.28
C 3.062 1.118 4.514  -0.74
N 2.667 1.246 5.789  0.31
C 1.313 1.439 6.053  -0.44
C 2.953 0.810 2.101  -0.20
O 4.138 1.086 2.023  -0.68
O 2.263 0.196 1.200  -0.63
H 5.324 -0.083 7.460  0.42
H 5.445 0.426 5.785  0.51
H 4.274 -0.818 6.243  0.41
H 4.162 2.149 6.942  0.12
H 3.775 0.926 8.983  0.41
H 2.657 -0.182 8.185  0.35
H 2.243 2.825 8.514  0.33
H 1.395 1.587 9.433  0.44
H -0.863 1.995 8.593  0.50
H -1.668 1.564 4.418  0.68
H 4.122 1.019 4.330  0.69
C -6.048 -2.018 -5.718  -1.66
C -4.821 -1.546 -4.986  0.80
C -4.346 -2.228 -3.871  -0.81
C -3.219 -1.801 -3.179  0.73
C -2.767 -2.537 -1.945  -1.53
C -2.561 -0.672 -3.662  0.17
Te -0.682 0.024 -2.602  0.48
N 0.952 0.834 -1.401  -0.33
C 1.363 1.760 -2.265  0.65
O 0.906 1.778 -3.446  -0.46
C 2.468 2.707 -1.928  0.17
C 3.288 3.121 -2.976  -0.46
C 4.354 3.970 -2.734  -0.65
C 4.608 4.415 -1.443  -0.38
C 3.778 4.028 -0.402  -0.92
C 2.711 3.178 -0.643  0.15
C 0.436 -1.684 -3.131  1.13
C 0.768 -1.902 -4.470  0.53
C 0.353 -0.992 -5.597  -1.52
C 1.535 -3.020 -4.785  -0.90
C 1.981 -3.901 -3.813  0.78
C 2.817 -5.100 -4.167  -1.55
C 1.650 -3.642 -2.488  -0.84
C 0.891 -2.540 -2.120  0.53
C 0.638 -2.308 -0.652  -0.66
C -3.023 0.077 -4.738  0.91
C -2.391 1.353 -5.236  -2.06
C -4.155 -0.401 -5.398  -0.83
H -6.485 -2.890 -5.234  0.34
H -5.805 -2.285 -6.748  0.35
H -6.804 -1.233 -5.752  0.36
H -4.875 -3.105 -3.516  0.29
H -3.474 -3.324 -1.689  0.46
H -2.698 -1.857 -1.092  0.32
H -1.786 -2.993 -2.098  0.27
H 3.075 2.767 -3.975  0.45
H 4.986 4.289 -3.553  0.37
H 5.453 5.064 -1.250  0.38
H 3.963 4.383 0.602  0.38
H 2.056 2.901 0.171  0.47
H -0.070 -0.053 -5.247  -0.13
H -0.386 -1.481 -6.235  0.39
H 1.218 -0.741 -6.211  0.55
H 1.799 -3.192 -5.823  0.38
H 3.011 -5.146 -5.238  0.35
H 2.313 -6.022 -3.873  0.34
H 3.775 -5.069 -3.646  0.34
H 2.004 -4.310 -1.709  0.46
H 0.428 -3.254 -0.150  0.58
H -0.202 -1.636 -0.470  -0.90
H 1.519 -1.858 -0.189  0.43
H -1.613 1.738 -4.578  0.26
H -3.152 2.128 -5.334  0.54
H -1.948 1.201 -6.222  0.37
H -4.532 0.159 -6.249  0.46

---

No. 2
# CH8NP2

A cluster of 2 separate species, CH8NP2 in total at a distorted geometry (the ωB97M-V functional and the def2-TZVPD basis, the OMol25 dataset).

Kohn-Sham gap	8.20	eV
HOMO energy	-13.2	eV
relative energy (zero: lowest compared OMol25 entry of this formula, charge and spin)	40.65	kcal per mole
charge	+1
LUMO	-4.995	eV

Last column: Mulliken charge in e.
Element x y z (Å)
C 0.288 -0.296 -0.502  -0.93
N 0.620 -1.029 0.686  -0.29
P -2.231 0.338 -0.488  0.21
P 1.435 1.251 -0.658  0.04
H 0.194 -0.775 -1.468  0.52
H -0.038 -1.809 0.869  0.37
H 0.588 -0.280 1.380  0.41
H 1.683 -1.372 0.759  0.39
H -1.725 1.135 0.540  0.08
H -2.310 -0.777 0.358  0.06
H 0.639 1.658 -1.736  0.09
H 0.855 1.957 0.260  0.05

---

No. 3
# C3H8O2
+++

[Written answer]
A structure of composition C44H41AuFN4O8Te (the ωB97M-V functional and the def2-TZVPD basis, the OMol25 dataset).
A cluster of 2 separate species, CH8NP2 in total at a distorted geometry (the ωB97M-V functional and the def2-TZVPD basis, the OMol25 dataset).